Checking in! I've been really busy lately so I haven't been on much. I hunt Northern Indiana and Southern Michigan. I've been getting some pretty good bucks on camera lately so hopefully I can make it happen. I got two 135ish bucks last year, (one with bow, one with shotgun), so i'm hoping to get one that big or bigger this year. Good luck everyone!
When is everybody's season start and how many plan to be out in the woods. I personally don't start to get to excited until the 3rd week of October and usually try to stay out of core area's until 1st of November. I have never connected on a mature buck in the early season and feel that I do more damage than good. What's everybody else's plan for this season.
If it weren't for all the trigger happy gunners around here i would not shoot the one i have in my sights. the only reason i will take him is because all the orange vest running around in November. Thats just how it is around here. I'd love to let Guss get some age on him but, not so sure he would make it through the season. As for being in The woods opening day, I'm there already in mind and spirit! September 10th is opening day. I plan on hunting at least every other weekend and some week day afternoons here and there. I feel thats the best time for getting my buck coming off bed or early morning soming back into bed. Hes been on camera at night mostly. I plan on doing a good bit of all day hunts from Halloween to the beginning of December. I will be using bow only all season this go around. I don't even have a rifle to use this season. So now I have a question, How many of you only bow hunt and never carry a lead slinger? Any suggestions on a name from anyone yet??
Two hunts in and they haven't been too good. I did see two bucks tonight but not even close. I had a coyote at about 100 yards but he didn't come my way. I nocked an arrow just special for him. So who's going to be captain ?? I suppose we should get going on it. Any volunteers?? My vote is for englum_06 or rednas5. We need a captain who is respected, well liked and who can get the job done. Sorry TeeJay... looks like that rules you out !! Team names ?? While we have to give TeeJay a D- for effort in his contribution to the team name... I am hoping we can do better then Team ol' goat. Tim
I have no doubt you end up killing another stud Tim! Heck man I can't even believe you're already hunting! As far as captains go, I can do it, but my vote is for Tim, lol.
She does pack my lunch but I tie my own boots... dammit !! :p Hunt #3 is out of the way. Saw a decent buck off in the distance still in velvet. He was limping bad and looks like one of his first legs most be messed up. He looked to be in real good shape otherwise and was eating. He was traveling with a young doe ( last year's fawn ). Thought that was odd until I saw him move. He doesn't move very far, very fast. TeeJay could probably run him down. Well... I will be back out again this afternoon. Hopefully get into some deer. Tim
Mate you coming up to the buoyant this year? I'm trying to talk timmy into making the trip from devils lake.
********
1.
A plane-wave DFT calculation with GGA-PBE was carried out for a relaxed structure of OsPbSe2.

Results
raw formation energy: 0.115 eV per atom
total DFT energy (no corrections): -5.362 eV per atom

```
OsPbSe2
1.0
-3.8204 3.8204 3.3026
3.8204 -3.8204 3.3026
3.8204 3.8204 -3.3026
Os Pb Se
2 2 4
Direct
0.0000 0.0000 0.0000 Os
0.7500 0.2500 0.5000 Os
0.2500 0.7500 0.5000 Pb
0.5000 0.5000 0.0000 Pb
0.0303 0.6250 0.9053 Se
0.3750 0.2803 0.4053 Se
0.7197 0.1250 0.0947 Se
0.8750 0.9697 0.5947 Se
```

2.
A plane-wave DFT calculation with GGA-PBE was carried out for a relaxed structure of Tb2TmSi6.

Results
raw formation energy: -0.520 eV per atom
total DFT energy (no corrections): -5.661 eV per atom

```
Tb2TmSi6
1.0
7.0875 0.0000 0.0000
-3.5438 6.1380 0.0000
0.0000 0.0000 3.9320
Tb Tm Si
2 1 6
Direct
0.3333 0.6667 0.0000 Tb
0.6667 0.3333 0.0000 Tb
0.0000 0.0000 0.0000 Tm
0.0000 0.3322 0.5000 Si
0.0000 0.6678 0.5000 Si
0.3322 0.0000 0.5000 Si
0.3322 0.3322 0.5000 Si
0.6678 0.0000 0.5000 Si
0.6678 0.6678 0.5000 Si
```

3.
A plane-wave DFT calculation with GGA-PBE was carried out for a relaxed structure of BaAcGaRh.

Results
total DFT energy (no corrections): -4.618 eV per atom
formation enthalpy at 0 K: -516 meV per atom

```
BaAcGaRh
1.0
3.8455 -2.2226 0.0000
3.8455 2.2226 0.0000
-2.5795 0.0000 8.2855
Ba Ac Ga Rh
1 1 1 1
Direct
0.0000 0.0000 0.0000 Ba
0.1699 0.1699 0.5062 Ac
0.4217 0.4217 0.2628 Ga
0.7680 0.7680 0.3010 Rh
```

4.
A plane-wave DFT calculation with GGA-PBE was carried out for a relaxed structure of NbCo6Ge.

Results
total DFT energy (no corrections): -7.260 eV per atom
formation enthalpy at 0 K: -94 meV per atom

```
NbCo6Ge
1.0
3.5879 -5.1380 0.0000
3.5879 5.1380 0.0000
0.0000 0.0000 10.2335
Nb Co Ge
4 24 4
Direct
0.0000 0.0000 0.2492 Nb
0.0000 0.0000 0.7508 Nb
0.2410 0.7590 0.5000 Nb
0.7590 0.2410 0.5000 Nb
0.0000 0.0000 0.0000 Co
0.0000 0.0000 0.5000 Co
0.1319 0.3841 0.1224 Co
0.1319 0.3841 0.8776 Co
0.1334 0.3805 0.3725 Co
0.1334 0.3805 0.6275 Co
0.2513 0.7487 0.2456 Co
0.2513 0.7487 0.7544 Co
0.3805 0.1334 0.3725 Co
0.3805 0.1334 0.6275 Co
0.3841 0.1319 0.1224 Co
0.3841 0.1319 0.8776 Co
0.5000 0.5000 0.0000 Co
0.5000 0.5000 0.5000 Co
0.6159 0.8681 0.1224 Co
0.6159 0.8681 0.8776 Co
0.6195 0.8666 0.3725 Co
0.6195 0.8666 0.6275 Co
0.7487 0.2513 0.2456 Co
0.7487 0.2513 0.7544 Co
0.8666 0.6195 0.3725 Co
0.8666 0.6195 0.6275 Co
0.8681 0.6159 0.1224 Co
0.8681 0.6159 0.8776 Co
0.2375 0.7625 0.0000 Ge
0.5000 0.5000 0.2489 Ge
0.5000 0.5000 0.7511 Ge
0.7625 0.2375 0.0000 Ge
```

5.
A plane-wave DFT calculation with GGA-PBE was carried out for a relaxed structure of BaSi2Au6.

Results
raw formation energy: -0.278 eV per atom
total DFT energy (no corrections): -3.881 eV per atom

```
BaSi2Au6
1.0
4.6937 0.0000 0.0000
0.0000 4.6937 0.0000
0.0000 0.0000 9.8540
Ba Si Au
1 2 6
Direct
0.0000 0.0000 0.0000 Ba
0.5000 0.5000 0.2419 Si
0.5000 0.5000 0.7581 Si
0.0000 0.5000 0.3214 Au
0.0000 0.5000 0.6786 Au
0.5000 0.0000 0.3214 Au
********
The BoneHeads. Thats my team name suggestion. Couldnt think of nothing else. Glad some of yall are hunting and some of yall are about to. I got another month and a half before our season opens. I think we got a good team, so let them arrows fly! Good Luck to all of ya.
The buck I saw this morning looked to be a very nice 8. He is a cripple. I tell you... this buck has your name written all over him. Tim
I like it. TeeJay can be our mascot. All kidding aside... I still like it. For an avatar... if englum didn't mind... we could use a head shot of Mr Clean. Tim